- - -
104
Properties=species:S:1:pos:R:3:forces:R:3 method="wB97M-V/def2-TZVPD" e_lumo_ha=0.04662 spin_multiplicity=1 energy_ha=-7018.3295 total_charge=-1
C 6.2404 4.2704 -0.0125 -3.937 -1.804 0.033
C 4.9090 3.5587 -0.0950 4.476 1.271 0.220
C 4.9672 1.9804 -0.6281 0.511 0.946 -0.005
C 3.5235 1.4445 -1.2253 1.741 -1.504 0.176
N 2.9975 2.5188 -2.1441 -1.816 -1.036 0.348
P 1.9101 1.9012 -3.4115 1.652 -0.710 -2.932
N 2.6752 1.5844 -4.8402 -1.818 1.277 0.863
C 3.8698 0.1279 -2.1966 1.265 -6.062 -4.531
O 4.9298 0.0938 -3.0411 -4.696 1.435 4.828
O 3.0023 -1.0917 -2.2467 3.199 6.569 1.149
C 2.4754 0.8998 -0.0935 -1.297 1.696 -0.516
Br 3.2769 -0.5761 1.0655 -0.525 0.954 -0.995
C 1.9244 2.0250 0.9610 -0.580 -0.359 0.894
C 0.7165 2.9846 0.3799 0.569 0.454 1.187
H 6.3660 5.3303 0.5192 -0.392 -2.522 -1.459
H 7.1905 3.7245 -0.4516 -2.128 1.226 1.113
H 3.9074 4.0932 0.2470 2.378 -1.256 -0.669
H 5.4136 1.2731 0.2219 -1.375 1.585 -1.701
H 5.8060 1.9873 -1.4774 -2.249 -0.217 1.588
H 2.6010 3.3424 -1.6418 0.393 -1.034 -0.416
H 1.2370 0.6709 -3.0131 0.726 1.396 0.404
H 0.9184 2.9029 -3.7131 0.327 -0.314 1.029
H 2.2648 2.2149 -5.5860 0.683 -0.696 1.279
H 1.5265 0.4885 -0.6786 2.262 0.363 1.365
H 1.4368 1.4161 1.8652 1.087 1.281 -2.012
H 2.7838 2.6726 1.4747 -1.756 -1.466 -1.317
H 0.1293 3.3796 1.3372 1.252 -0.859 -2.127
H 1.1439 3.9692 -0.1421 -1.047 -2.226 0.830
H -0.0722 2.4295 -0.2825 2.037 1.008 1.185
C -5.4343 3.2307 0.0705 -0.275 -0.060 -0.034
C -4.7594 2.3343 1.1076 -0.133 -0.016 0.237
C -3.4332 1.8633 0.5132 -0.035 -0.338 0.365
S -2.9189 3.1351 -0.6313 0.361 0.042 0.245
O -2.9405 2.5856 -1.9706 0.200 0.267 0.209
O -1.7614 3.8213 -0.0930 -1.015 0.036 -0.739
C -4.3504 4.1763 -0.4252 -0.528 0.377 -0.032
H -6.2809 3.7776 0.4957 0.080 -0.050 -0.090
H -5.8078 2.6193 -0.7596 0.042 0.114 0.062
H -4.5701 2.9117 2.0207 -0.011 -0.075 -0.114
H -5.3929 1.4850 1.3819 0.123 0.110 -0.015
H -2.6688 1.7378 1.2842 -0.085 0.023 -0.435
H -3.5539 0.9320 -0.0469 0.130 0.184 -0.016
H -4.6009 4.6588 -1.3714 0.211 -0.053 0.058
H -4.1098 4.9302 0.3303 0.055 -0.108 -0.121
C -2.3987 -2.0668 4.4263 0.056 -0.359 0.023
C -1.0921 -2.6624 3.9040 0.046 -0.147 0.077
C -0.4241 -1.6045 3.0272 0.303 -0.520 -0.365
S -0.9683 -0.0216 3.6518 0.708 -0.271 0.439
O -1.7785 0.6198 2.6377 0.209 0.171 0.301
O 0.1468 0.6476 4.2914 -0.544 0.205 -0.433
C -2.0491 -0.6682 4.9124 -0.396 -0.165 0.331
H -2.8305 -2.6744 5.2270 0.310 0.297 -0.482
H -3.1305 -2.0094 3.6117 0.031 0.000 0.127
H -0.4386 -2.9064 4.7503 -0.092 0.035 -0.082
H -1.2640 -3.5874 3.3448 0.064 0.161 0.052
H 0.6657 -1.6630 3.0861 -0.163 0.285 -0.167
H -0.7459 -1.6866 1.9855 0.088 0.138 0.070
H -2.9213 -0.0218 5.0245 0.191 0.079 -0.035
H -1.4853 -0.7063 5.8493 -0.058 0.082 -0.149
C 6.0289 -0.8965 -6.1705 -0.083 0.062 0.327
C 6.0393 0.4103 -6.9624 -0.329 0.178 0.116
C 7.3272 0.4385 -7.7838 -0.034 0.684 -0.020
S 7.7607 -1.2669 -8.0921 -0.366 -0.122 0.077
O 9.0018 -1.5580 -7.4057 0.003 -0.062 -0.461
O 7.5637 -1.5625 -9.4972 0.490 -0.072 0.094
C 6.4198 -1.9825 -7.1618 -0.311 -0.206 0.245
H 5.0497 -1.0932 -5.7243 0.225 0.135 0.089
H 6.7664 -0.8439 -5.3607 -0.217 -0.042 -0.051
H 5.1727 0.4365 -7.6341 0.104 0.003 0.109
H 5.9712 1.2825 -6.3048 -0.076 -0.211 -0.082
H 7.1854 0.9552 -8.7364 0.217 -0.193 0.070
H 8.1468 0.9013 -7.2272 -0.035 -0.196 -0.110
H 6.7492 -2.9049 -6.6806 0.101 0.087 -0.181
H 5.6030 -2.1918 -7.8590 0.174 0.020 0.000
C -7.1430 -2.1378 8.0845 -0.259 -0.100 -0.075
C -6.4682 -3.0342 9.1216 -0.200 -0.015 0.321
C -5.1419 -3.5052 8.5272 -0.070 -0.571 0.441
S -4.6277 -2.2334 7.3827 0.240 0.324 0.165
O -4.6492 -2.7829 6.0434 -0.256 0.141 0.656
O -3.4701 -1.5472 7.9209 -0.246 -0.365 -0.556
C -6.0591 -1.1922 7.5888 -0.457 0.341 0.000
H -7.9897 -1.5909 8.5097 0.118 -0.072 -0.091
H -7.5166 -2.7492 7.2544 0.036 0.123 0.077
H -6.2788 -2.4568 10.0347 -0.025 -0.075 -0.136
H -7.1016 -3.8835 9.3959 0.128 0.128 -0.023
H -4.3775 -3.6307 9.2982 0.016 0.036 -0.298
H -5.2627 -4.4365 7.9670 0.103 0.203 -0.024
- - -
It remains to print the material earlier on word for word.
104
Properties=species:S:1:pos:R:3:forces:R:3 method="wB97M-V/def2-TZVPD" e_lumo_ha=0.04662 spin_multiplicity=1 energy_ha=-7018.3295 total_charge=-1
C 6.2404 4.2704 -0.0125 -3.937 -1.804 0.033
C 4.9090 3.5587 -0.0950 4.476 1.271 0.220
C 4.9672 1.9804 -0.6281 0.511 0.946 -0.005
C 3.5235 1.4445 -1.2253 1.741 -1.504 0.176
N 2.9975 2.5188 -2.1441 -1.816 -1.036 0.348
P 1.9101 1.9012 -3.4115 1.652 -0.710 -2.932
N 2.6752 1.5844 -4.8402 -1.818 1.277 0.863
C 3.8698 0.1279 -2.1966 1.265 -6.062 -4.531
O 4.9298 0.0938 -3.0411 -4.696 1.435 4.828
O 3.0023 -1.0917 -2.2467 3.199 6.569 1.149
C 2.4754 0.8998 -0.0935 -1.297 1.696 -0.516
Br 3.2769 -0.5761 1.0655 -0.525 0.954 -0.995
C 1.9244 2.0250 0.9610 -0.580 -0.359 0.894
C 0.7165 2.9846 0.3799 0.569 0.454 1.187
H 6.3660 5.3303 0.5192 -0.392 -2.522 -1.459
H 7.1905 3.7245 -0.4516 -2.128 1.226 1.113
H 3.9074 4.0932 0.2470 2.378 -1.256 -0.669
H 5.4136 1.2731 0.2219 -1.375 1.585 -1.701
H 5.8060 1.9873 -1.4774 -2.249 -0.217 1.588
H 2.6010 3.3424 -1.6418 0.393 -1.034 -0.416
H 1.2370 0.6709 -3.0131 0.726 1.396 0.404
H 0.9184 2.9029 -3.7131 0.327 -0.314 1.029
H 2.2648 2.2149 -5.5860 0.683 -0.696 1.279
H 1.5265 0.4885 -0.6786 2.262 0.363 1.365
H 1.4368 1.4161 1.8652 1.087 1.281 -2.012
H 2.7838 2.6726 1.4747 -1.756 -1.466 -1.317
H 0.1293 3.3796 1.3372 1.252 -0.859 -2.127
H 1.1439 3.9692 -0.1421 -1.047 -2.226 0.830
H -0.0722 2.4295 -0.2825 2.037 1.008 1.185
C -5.4343 3.2307 0.0705 -0.275 -0.060 -0.034
C -4.7594 2.3343 1.1076 -0.133 -0.016 0.237
C -3.4332 1.8633 0.5132 -0.035 -0.338 0.365
S -2.9189 3.1351 -0.6313 0.361 0.042 0.245
O -2.9405 2.5856 -1.9706 0.200 0.267 0.209
O -1.7614 3.8213 -0.0930 -1.015 0.036 -0.739
C -4.3504 4.1763 -0.4252 -0.528 0.377 -0.032
H -6.2809 3.7776 0.4957 0.080 -0.050 -0.090
H -5.8078 2.6193 -0.7596 0.042 0.114 0.062
H -4.5701 2.9117 2.0207 -0.011 -0.075 -0.114
H -5.3929 1.4850 1.3819 0.123 0.110 -0.015
H -2.6688 1.7378 1.2842 -0.085 0.023 -0.435
H -3.5539 0.9320 -0.0469 0.130 0.184 -0.016
H -4.6009 4.6588 -1.3714 0.211 -0.053 0.058
H -4.1098 4.9302 0.3303 0.055 -0.108 -0.121
C -2.3987 -2.0668 4.4263 0.056 -0.359 0.023
C -1.0921 -2.6624 3.9040 0.046 -0.147 0.077
C -0.4241 -1.6045 3.0272 0.303 -0.520 -0.365
S -0.9683 -0.0216 3.6518 0.708 -0.271 0.439
O -1.7785 0.6198 2.6377 0.209 0.171 0.301
O 0.1468 0.6476 4.2914 -0.544 0.205 -0.433
C -2.0491 -0.6682 4.9124 -0.396 -0.165 0.331
H -2.8305 -2.6744 5.2270 0.310 0.297 -0.482
H -3.1305 -2.0094 3.6117 0.031 0.000 0.127
H -0.4386 -2.9064 4.7503 -0.092 0.035 -0.082
H -1.2640 -3.5874 3.3448 0.064 0.161 0.052
H 0.6657 -1.6630 3.0861 -0.163 0.285 -0.167
H -0.7459 -1.6866 1.9855 0.088 0.138 0.070
H -2.9213 -0.0218 5.0245 0.191 0.079 -0.035
H -1.4853 -0.7063 5.8493 -0.058 0.082 -0.149
C 6.0289 -0.8965 -6.1705 -0.083 0.062 0.327
C 6.0393 0.4103 -6.9624 -0.329 0.178 0.116
C 7.3272 0.4385 -7.7838 -0.034 0.684 -0.020
S 7.7607 -1.2669 -8.0921 -0.366 -0.122 0.077
O 9.0018 -1.5580 -7.4057 0.003 -0.062 -0.461
O 7.5637 -1.5625 -9.4972 0.490 -0.072 0.094
C 6.4198 -1.9825 -7.1618 -0.311 -0.206 0.245
H 5.0497 -1.0932 -5.7243 0.225 0.135 0.089
H 6.7664 -0.8439 -5.3607 -0.217 -0.042 -0.051
H 5.1727 0.4365 -7.6341 0.104 0.003 0.109
H 5.9712 1.2825 -6.3048 -0.076 -0.211 -0.082
H 7.1854 0.9552 -8.7364 0.217 -0.193 0.070
H 8.1468 0.9013 -7.2272 -0.035 -0.196 -0.110
H 6.7492 -2.9049 -6.6806 0.101 0.087 -0.181
H 5.6030 -2.1918 -7.8590 0.174 0.020 0.000
C -7.1430 -2.1378 8.0845 -0.259 -0.100 -0.075
C -6.4682 -3.0342 9.1216 -0.200 -0.015 0.321
C -5.1419 -3.5052 8.5272 -0.070 -0.571 0.441
S -4.6277 -2.2334 7.3827 0.240 0.324 0.165
O -4.6492 -2.7829 6.0434 -0.256 0.141 0.656
O -3.4701 -1.5472 7.9209 -0.246 -0.365 -0.556
C -6.0591 -1.1922 7.5888 -0.457 0.341 0.000
H -7.9897 -1.5909 8.5097 0.118 -0.072 -0.091
H -7.5166 -2.7492 7.2544 0.036 0.123 0.077
H -6.2788 -2.4568 10.0347 -0.025 -0.075 -0.136
H -7.1016 -3.8835 9.3959 0.128 0.128 -0.023
H -4.3775 -3.6307 9.2982 0.016 0.036 -0.298
H -5.2627 -4.4365 7.9670 0.103 0.203 -0.024